Transcribe the contents further below from the first line to the one with "_symmetry_Int_Tables_number 141" without additions.

ScNbO4: simulated X-ray powder pattern (Cu Kα), based on a cell relaxed with GGA-PBE.
Neutral-atom scattering factors, no anomalous dispersion.

Structure:
```
data_ScNbO4
_cell_length_a 5.162
_cell_length_b 4.857
_cell_length_c 5.803
_cell_angle_alpha 90.00
_cell_angle_beta 90.00
_cell_angle_gamma 90.00
_symmetry_space_group_name_H-M 'P n c 2'
_symmetry_Int_Tables_number 30
_symmetry_space_group_name_Hall 'P 2 -2bc'
loop_
_atom_site_label
_atom_site_fract_x
_atom_site_fract_y
_atom_site_fract_z
Sc1 0.000 0.000 0.000
Nb1 0.500 0.000 0.363
O1 0.186 0.212 0.284
O2 0.337 0.738 0.561
```

Peak list (6 most intense, 2θ from 15° to 90°, low angle first)
d = 5.162 Å, 2θ = 17.2°, rel. 17.5, (1 0 0); d = 3.725 Å, 2θ = 23.9°, rel. 37.6, (0 1 1); d = 3.020 Å, 2θ = 29.6°, rel. 100.0, (1 1 1); d = 1.769 Å, 2θ = 51.7°, rel. 18.2, (2 2 0); d = 1.752 Å, 2θ = 52.2°, rel. 21.8, (1 2 2); d = 1.562 Å, 2θ = 59.1°, rel. 14.7, (3 1 1)

=====

AlNi4Sb: simulated X-ray powder pattern (Cu Kα), based on a cell relaxed with GGA-PBE.
Neutral-atom scattering factors, no anomalous dispersion.

Structure:
```
data_AlNi4Sb
_cell_length_a 5.335
_cell_length_b 7.079
_cell_length_c 4.562
_cell_angle_alpha 90.00
_cell_angle_beta 112.35
_cell_angle_gamma 90.00
_symmetry_space_group_name_H-M 'P 1 21/c 1'
_symmetry_Int_Tables_number 14
_symmetry_space_group_name_Hall '-P 2ybc'
loop_
_atom_site_label
_atom_site_fract_x
_atom_site_fract_y
_atom_site_fract_z
Al1 0.000 0.000 0.000
Ni1 0.110 0.163 0.580
Ni2 0.358 0.658 0.416
Sb1 0.500 0.000 0.500
```

Peak list (6 most intense, 2θ from 15° to 90°, low angle first)
d = 2.330 Å, 2θ = 38.7°, rel. 44.9, (2 1 0); d = 2.164 Å, 2θ = 41.7°, rel. 39.3, (1 2 1); d = 2.110 Å, 2θ = 42.9°, rel. 28.3, (0 0 2); d = 2.040 Å, 2θ = 44.4°, rel. 100.0, (1 3 -1); d = 2.029 Å, 2θ = 44.7°, rel. 42.2, (2 0 -2); d = 2.023 Å, 2θ = 44.8°, rel. 35.8, (0 1 2)

=====

YAl9Cu2: simulated X-ray powder pattern (Cu Kα), based on a cell relaxed with GGA-PBE.
Neutral-atom scattering factors, no anomalous dispersion.

Structure:
```
data_YAl9Cu2
_cell_length_a 10.674
_cell_length_b 10.674
_cell_length_c 7.097
_cell_angle_alpha 90.00
_cell_angle_beta 90.00
_cell_angle_gamma 90.00
_symmetry_space_group_name_H-M 'I 41/a m d'
_symmetry_Int_Tables_number 141
loop_
_symmetry_equiv_pos_as_xyz
'x,y,z'
'-x,-y,-z'
'-y+1/4,x+3/4,z+1/4'
'y+1/4,-x+3/4,-z+1/4'
'-x+1/2,-y,z+1/2'
'x+1/2,y,-z+1/2'
'y+1/4,-x+1/4,z+3/4'
'-y+1/4,x+1/4,-z+3/4'
'x,-y,-z'
'-x,y,z'
'-y+1/4,-x+1/4,-z+3/4'
'y+1/4,x+1/4,z+3/4'
'-x+1/2,y,-z+1/2'
'x+1/2,-y,z+1/2'
'y+1/4,x+3/4,-z+1/4'
'-y+1/4,-x+3/4,z+1/4'
'x+1/2,y+1/2,z+1/2'
'-x+1/2,-y+1/2,-z+1/2'
'-y+3/4,x+1/4,z+3/4'
'y+3/4,-x+1/4,-z+3/4'
'-x,-y+1/2,z'
'x,y+1/2,-z'
'y+3/4,-x+3/4,z+1/4'
'-y+3/4,x+3/4,-z+1/4'
'x+1/2,-y+1/2,-z+1/2'
'-x+1/2,y+1/2,z+1/2'
'-y+3/4,-x+3/4,-z+1/4'
'y+3/4,x+3/4,z+1/4'
'-x,y+1/2,-z'
'x,-y+1/2,z'
'y+3/4,x+1/4,-z+3/4'
'-y+3/4,-x+1/4,z+3/4'
loop_
_atom_site_label
_atom_site_fract_x
_atom_site_fract_y
_atom_site_fract_z
Y1 0.000 0.250 0.375
Al1 0.000 0.250 0.875
Al2 0.123 0.050 0.682
Cu1 0.000 0.000 0.000
```

Peak list (6 most intense, 2θ from 15° to 90°, low angle first)
d = 3.961 Å, 2θ = 22.4°, rel. 81.6, (2 1 1); d = 2.732 Å, 2θ = 32.8°, rel. 83.2, (3 2 1); d = 2.446 Å, 2θ = 36.7°, rel. 100.0, (3 1 2); d = 2.387 Å, 2θ = 37.7°, rel. 59.9, (4 2 0); d = 2.310 Å, 2θ = 39.0°, rel. 50.2, (1 0 3); d = 1.981 Å, 2θ = 45.8°, rel. 60.6, (4 2 2)

ScNbO4: simulated X-ray powder pattern (Cu Kα), based on a cell relaxed with GGA-PBE.
Neutral-atom scattering factors, no anomalous dispersion.

Structure:
```
data_ScNbO4
_cell_length_a 5.162
_cell_length_b 4.857
_cell_length_c 5.803
_cell_angle_alpha 90.00
_cell_angle_beta 90.00
_cell_angle_gamma 90.00
_symmetry_space_group_name_H-M 'P n c 2'
_symmetry_Int_Tables_number 30
_symmetry_space_group_name_Hall 'P 2 -2bc'
loop_
_atom_site_label
_atom_site_fract_x
_atom_site_fract_y
_atom_site_fract_z
Sc1 0.000 0.000 0.000
Nb1 0.500 0.000 0.363
O1 0.186 0.212 0.284
O2 0.337 0.738 0.561
```

Peak list (6 most intense, 2θ from 15° to 90°, low angle first)
d = 5.162 Å, 2θ = 17.2°, rel. 17.5, (1 0 0); d = 3.725 Å, 2θ = 23.9°, rel. 37.6, (0 1 1); d = 3.020 Å, 2θ = 29.6°, rel. 100.0, (1 1 1); d = 1.769 Å, 2θ = 51.7°, rel. 18.2, (2 2 0); d = 1.752 Å, 2θ = 52.2°, rel. 21.8, (1 2 2); d = 1.562 Å, 2θ = 59.1°, rel. 14.7, (3 1 1)

=====

AlNi4Sb: simulated X-ray powder pattern (Cu Kα), based on a cell relaxed with GGA-PBE.
Neutral-atom scattering factors, no anomalous dispersion.

Structure:
```
data_AlNi4Sb
_cell_length_a 5.335
_cell_length_b 7.079
_cell_length_c 4.562
_cell_angle_alpha 90.00
_cell_angle_beta 112.35
_cell_angle_gamma 90.00
_symmetry_space_group_name_H-M 'P 1 21/c 1'
_symmetry_Int_Tables_number 14
_symmetry_space_group_name_Hall '-P 2ybc'
loop_
_atom_site_label
_atom_site_fract_x
_atom_site_fract_y
_atom_site_fract_z
Al1 0.000 0.000 0.000
Ni1 0.110 0.163 0.580
Ni2 0.358 0.658 0.416
Sb1 0.500 0.000 0.500
```

Peak list (6 most intense, 2θ from 15° to 90°, low angle first)
d = 2.330 Å, 2θ = 38.7°, rel. 44.9, (2 1 0); d = 2.164 Å, 2θ = 41.7°, rel. 39.3, (1 2 1); d = 2.110 Å, 2θ = 42.9°, rel. 28.3, (0 0 2); d = 2.040 Å, 2θ = 44.4°, rel. 100.0, (1 3 -1); d = 2.029 Å, 2θ = 44.7°, rel. 42.2, (2 0 -2); d = 2.023 Å, 2θ = 44.8°, rel. 35.8, (0 1 2)

=====

YAl9Cu2: simulated X-ray powder pattern (Cu Kα), based on a cell relaxed with GGA-PBE.
Neutral-atom scattering factors, no anomalous dispersion.

Structure:
```
data_YAl9Cu2
_cell_length_a 10.674
_cell_length_b 10.674
_cell_length_c 7.097
_cell_angle_alpha 90.00
_cell_angle_beta 90.00
_cell_angle_gamma 90.00
_symmetry_space_group_name_H-M 'I 41/a m d'
_symmetry_Int_Tables_number 141